-- Material --
=====
Record 1
This record from the Open Molecules 2025 dataset describes a single C7H5N3O2 molecule at a distorted geometry. The level of theory is ωB97M-V/def2-TZVPD.

Output
E_LUMO: 0.0524 eV
total charge: 0

CARTESIAN COORDINATES (ANGSTROEM)
C1 1.632 -0.736 -0.110
C2 -0.630 -0.634 0.122
C3 -1.712 -1.379 0.180
C4 -3.015 0.488 -0.283
C5 -1.897 1.368 -0.265
C6 -0.662 0.765 0.094
C7 1.678 0.720 0.077
H1 3.558 -0.652 -0.367
H2 -1.677 -2.449 0.425
H3 -3.978 0.900 -0.536
H4 -2.027 2.497 -0.280
H5 0.655 2.308 0.503
N1 0.568 -1.339 0.077
N2 -2.912 -0.843 0.022
N3 0.518 1.291 0.504
O1 2.772 -1.296 -0.220
O2 2.714 1.307 -0.138

---

Record 2
This record from the Open Molecules 2025 dataset describes a molecular structure, C28H28F5HfN8O4SSe at a distorted geometry. The level of theory is ωB97M-V/def2-TZVPD.

Output
E_LUMO: -3.2499 eV
total charge: +1

CARTESIAN COORDINATES (ANGSTROEM)
Hf1 -0.950 0.003 1.385
N1 3.389 0.964 0.370
C1 4.166 -0.200 0.317
C2 5.328 -0.177 -0.419
C3 6.128 -1.298 -0.324
C4 5.747 -2.350 0.515
C5 4.595 -2.347 1.220
C6 3.829 -1.265 1.141
S1 2.297 -1.273 2.052
N2 1.445 0.096 1.343
C7 2.074 0.966 0.658
C8 1.313 2.200 0.340
C9 1.984 3.418 0.275
C10 1.181 4.539 0.264
C11 -0.133 4.434 -0.028
C12 -0.728 3.179 0.114
N3 0.013 2.077 0.256
H1 3.772 1.768 -0.040
H2 5.561 0.779 -0.912
H3 7.064 -1.318 -0.877
H4 6.332 -3.248 0.596
H5 4.402 -3.146 1.871
H6 3.060 3.552 0.337
H7 1.683 5.509 0.212
H8 -0.801 5.251 -0.285
H9 -1.763 3.022 -0.076
N4 -0.214 2.272 4.915
C13 -0.587 1.301 4.079
O1 -0.459 1.575 2.842
C14 -1.060 0.014 4.618
C15 -0.868 -1.023 3.515
H10 0.259 3.077 4.553
H11 -0.205 2.170 5.903
H12 -2.086 0.063 4.827
H13 -0.641 -0.179 5.578
H14 -1.691 -1.878 3.576
H15 0.126 -1.513 3.517
O2 -2.433 -1.653 0.670
N5 -1.475 -2.511 0.551
O3 -1.674 -3.597 0.050
O4 -0.387 -2.163 1.137
F1 -7.590 -1.184 -1.350
C16 -6.788 -0.541 -0.503
C17 -6.405 0.798 -0.779
F2 -6.915 1.412 -1.817
C18 -5.385 1.349 0.002
F3 -4.960 2.599 -0.334
C19 -4.758 0.725 1.097
Se1 -3.202 1.457 1.886
C20 -5.284 -0.484 1.439
F4 -4.811 -1.169 2.475
C21 -6.309 -1.129 0.725
F5 -6.610 -2.409 0.978
C22 2.047 -2.835 -3.392
C23 2.618 -2.240 -2.037
N6 1.524 -1.603 -1.255
C24 0.449 -0.927 -1.815
N7 -0.489 -0.414 -1.078
C25 -1.692 0.073 -1.773
C26 -1.247 0.928 -2.991
C27 -0.308 0.110 -3.853
N8 0.441 -0.912 -3.181
C28 1.319 -1.689 -4.010
H16 1.481 -3.743 -3.166
H17 2.963 -3.060 -4.000
H18 3.368 -1.538 -2.255
H19 3.091 -2.968 -1.306
H20 1.250 -2.024 -0.403
H21 -2.326 0.641 -1.084
H22 -2.280 -0.753 -2.136
H23 -0.698 1.783 -2.557
H24 -2.075 1.200 -3.648
H25 0.260 0.805 -4.466
H26 -1.009 -0.397 -4.587
H27 2.050 -1.044 -4.548
H28 0.687 -1.901 -4.914

---

Record 3
This record from the Open Molecules 2025 dataset describes a gas-phase ion, C4H11N3 (charge +2) at a distorted geometry. The level of theory is ωB97M-V/def2-TZVPD.

Output
E_LUMO: -9.5873 eV
total charge: +2

CARTESIAN COORDINATES (ANGSTROEM)
C1 -0.173 0.897 -1.894
C2 -1.857 -0.459 -0.362
C3 -0.205 1.398 -0.536
C4 1.067 -1.450 1.151
N1 -1.169 0.483 -0.928
N2 0.783 0.748 0.436
N3 0.160 -0.352 1.011
H1 -0.391 1.553 -2.656
H2 0.500 0.173 -2.194
H3 -2.043 -0.405 0.755
H4 -2.447 -1.235 -0.909
H5 -0.481 2.337 -0.312
H6 1.794 -1.137 1.893
H7 0.529 -2.354 1.518
H8 1.346 -1.898 0.145
H9 1.501 0.310 -0.185
H10 1.188 1.515 1.147
H11 -0.102 -0.124 1.919

---

Record 4
This record from the Open Molecules 2025 dataset describes 3 unconnected molecules or ions with the total composition C5H17N2O at a distorted geometry. The level of theory is ωB97M-V/def2-TZVPD.

Output
E_LUMO (alpha / beta): 0.6886 / -1.1753 eV
2S+1: 2
total charge: 0

CARTESIAN COORDINATES (ANGSTROEM)
C1 -0.650 -0.588 1.490
N1 0.176 0.607 1.748
C2 1.313 0.258 2.600
C3 -1.308 -0.485 0.113
N2 -0.291 -0.629 -0.878
C4 0.467 3.680 -3.875
C5 -2.365 -1.600 -0.050
H1 -1.460 -0.693 2.210
H2 -0.011 -1.477 1.452
H3 0.576 0.759 0.824
H4 0.976 -0.028 3.599
H5 1.930 -0.554 2.203
H6 1.957 1.130 2.721
H7 -1.836 0.470 -0.027
H8 -0.624 -0.459 -1.832
H9 0.596 3.528 -2.806
=====

-- Activity --
Could you type out every line above that contains the word "H18"?

-- Result --
H18 3.368 -1.538 -2.255